## Source
No. 1
The following is a quantum chemistry calculation of 5 unconnected molecules or ions with the total composition CH11O4S, from the Open Molecules 2025 dataset.

Its charge is 0. The calculation puts the HOMO energy (spin up / spin down) at -10.458 / -10.072 eV. As for the total energy: -20239.3848 eV. The spin multiplicity is 2. The value obtained for the HOMO-LUMO gap (spin up / spin down) is 10.70 / 7.00 eV. As for the energy above the lowest of the compared OMol25 structures with the same formula, charge and spin: 0.00 kJ/mol.

Structure (XYZ):
```
17
CH11O4S wB97M-V/def2-TZVPD
H -0.062 2.467 0.128
H 2.010 -1.167 2.360
H -0.434 -1.502 -0.730
H 1.232 1.325 0.491
O -0.940 -1.632 -1.522
H -1.768 -1.155 -1.338
H 2.451 -0.452 -1.732
H 0.752 2.470 1.696
H 1.262 -1.866 1.234
H -3.682 -0.244 -0.254
S -0.830 0.679 1.579
H 1.012 0.102 -1.800
O 1.940 0.337 -1.935
O -3.018 0.235 -0.753
O 2.091 -1.886 1.725
H -2.379 0.451 -0.055
C 0.363 1.838 0.906
```

=====

No. 2
The following is a quantum chemistry calculation of 5 unconnected molecules or ions with the total composition C15H35N5O5, from the Open Molecules 2025 dataset.

Its charge is 0. Its structure (SMILES) is CN(C)C=O.CN(C)C=O.CN(C)C=O.CN(C)C=O.CN(C)C=O. The calculation puts the HOMO energy at -8.683 eV. As for the total energy: -33808.2554 eV. The value obtained for the HOMO-LUMO gap is 8.85 eV. As for the energy above the lowest of the compared OMol25 structures with the same formula, charge and spin: 448.44 kJ/mol.

Structure (XYZ):
```
60
C15H35N5O5 wB97M-V/def2-TZVPD
H -2.641 -0.355 -0.239
H -3.191 -5.493 -0.920
C 0.904 4.573 -3.900
O 1.797 3.992 -1.272
C 0.729 -0.024 -0.238
H -1.753 6.805 2.248
C -2.174 6.054 2.935
H -2.710 -4.882 0.935
H 1.292 -2.754 2.265
C 0.802 3.499 -1.699
H -1.029 5.426 0.699
H 0.792 0.884 0.362
H 2.546 -0.692 2.565
N -1.839 4.797 2.619
H -0.524 2.586 -4.522
N 3.031 -2.077 1.172
H -0.051 -2.361 -1.458
H -2.860 3.846 4.320
N -1.179 -5.227 -0.350
H 3.928 -0.152 1.637
C 0.215 -5.362 -0.734
N -0.636 -0.550 -0.310
O 4.612 -1.810 -0.505
C -0.565 2.613 -3.433
C -1.042 4.571 1.375
C -2.193 -5.773 -1.258
C 2.107 -3.107 1.633
H 3.053 -3.150 -0.475
H -0.613 1.667 -2.894
H 0.471 -4.748 -1.598
C -1.617 -4.800 0.822
H 0.868 -5.252 0.132
H -0.356 -2.422 0.286
H -1.531 3.758 0.837
C 3.478 -1.025 2.110
O -2.888 6.274 3.904
H -1.191 3.134 3.882
N 0.338 3.680 -2.880
H -1.520 3.097 -3.226
H 2.669 -3.753 2.307
H -2.078 -6.856 -1.286
H -1.675 -2.201 -0.818
H 0.402 -6.421 -0.908
H 1.720 4.168 -4.498
H 4.261 -1.374 2.783
H 1.229 5.564 -3.583
O -1.687 1.474 -0.052
H -1.958 -5.284 -2.204
C -1.724 0.252 -0.174
C -2.076 3.692 3.579
H -0.001 4.830 -4.450
H -0.039 4.191 1.571
H -2.537 2.992 2.881
C -0.634 -1.929 -0.645
H 1.716 -3.747 0.843
C 3.674 -2.381 0.010
H 1.252 -0.013 -1.194
H 0.291 2.748 -1.077
H 1.204 -0.750 0.422
O -0.870 -4.439 1.668
```

=====

No. 3
The following is a quantum chemistry calculation of 3 unconnected molecules or ions with the total composition C17H35ClN2O5P, from the Open Molecules 2025 dataset.

Its charge is 0. The calculation puts the HOMO energy (spin up / spin down) at -7.911 / -8.937 eV. As for the total energy: -53223.3566 eV. The spin multiplicity is 2. The value obtained for the HOMO-LUMO gap (spin up / spin down) is 8.46 / 9.49 eV.

Structure (XYZ):
```
61
C17H35ClN2O5P wB97M-V/def2-TZVPD
C 0.277 0.846 2.263
H 0.575 2.359 3.742
C 3.221 -4.282 -0.470
H 3.311 -5.303 2.682
C 1.267 -0.100 2.944
C -0.142 -0.176 -1.426
H -3.558 -1.019 2.861
C 2.069 -5.255 -0.347
H -0.529 -1.039 -1.973
H 4.885 -4.582 3.002
P -3.885 0.210 2.244
H -2.318 4.576 -2.874
O -2.196 3.130 -4.369
C -1.176 0.506 2.690
O -0.961 1.323 -4.297
H -2.276 -1.239 0.628
H 1.120 -4.722 -0.399
C 0.119 -1.747 0.498
C -2.507 4.463 -3.942
H -2.006 5.384 -5.818
H -3.931 1.031 3.394
C -0.379 -0.365 0.064
C -0.046 3.195 -3.145
H -0.005 3.010 2.193
C -2.219 0.659 1.587
O 0.624 1.772 0.109
C -1.781 5.511 -4.759
H -1.223 -0.539 3.016
H 0.443 2.483 -2.485
H -2.104 6.507 -4.454

## Work order
The reader should duplicate the lines above from the one with "1.234" to the one with "-1.687 1.474" character by character.

## Outcome
H 1.262 -1.866 1.234
H -3.682 -0.244 -0.254
S -0.830 0.679 1.579
H 1.012 0.102 -1.800
O 1.940 0.337 -1.935
O -3.018 0.235 -0.753
O 2.091 -1.886 1.725
H -2.379 0.451 -0.055
C 0.363 1.838 0.906
```

=====

No. 2
The following is a quantum chemistry calculation of 5 unconnected molecules or ions with the total composition C15H35N5O5, from the Open Molecules 2025 dataset.

Its charge is 0. Its structure (SMILES) is CN(C)C=O.CN(C)C=O.CN(C)C=O.CN(C)C=O.CN(C)C=O. The calculation puts the HOMO energy at -8.683 eV. As for the total energy: -33808.2554 eV. The value obtained for the HOMO-LUMO gap is 8.85 eV. As for the energy above the lowest of the compared OMol25 structures with the same formula, charge and spin: 448.44 kJ/mol.

Structure (XYZ):
```
60
C15H35N5O5 wB97M-V/def2-TZVPD
H -2.641 -0.355 -0.239
H -3.191 -5.493 -0.920
C 0.904 4.573 -3.900
O 1.797 3.992 -1.272
C 0.729 -0.024 -0.238
H -1.753 6.805 2.248
C -2.174 6.054 2.935
H -2.710 -4.882 0.935
H 1.292 -2.754 2.265
C 0.802 3.499 -1.699
H -1.029 5.426 0.699
H 0.792 0.884 0.362
H 2.546 -0.692 2.565
N -1.839 4.797 2.619
H -0.524 2.586 -4.522
N 3.031 -2.077 1.172
H -0.051 -2.361 -1.458
H -2.860 3.846 4.320
N -1.179 -5.227 -0.350
H 3.928 -0.152 1.637
C 0.215 -5.362 -0.734
N -0.636 -0.550 -0.310
O 4.612 -1.810 -0.505
C -0.565 2.613 -3.433
C -1.042 4.571 1.375
C -2.193 -5.773 -1.258
C 2.107 -3.107 1.633
H 3.053 -3.150 -0.475
H -0.613 1.667 -2.894
H 0.471 -4.748 -1.598
C -1.617 -4.800 0.822
H 0.868 -5.252 0.132
H -0.356 -2.422 0.286
H -1.531 3.758 0.837
C 3.478 -1.025 2.110
O -2.888 6.274 3.904
H -1.191 3.134 3.882
N 0.338 3.680 -2.880
H -1.520 3.097 -3.226
H 2.669 -3.753 2.307
H -2.078 -6.856 -1.286
H -1.675 -2.201 -0.818
H 0.402 -6.421 -0.908
H 1.720 4.168 -4.498
H 4.261 -1.374 2.783
H 1.229 5.564 -3.583
O -1.687 1.474 -0.052